
Get the Power to Perform Like a Porn Star!

_Next to the entry, the page also holds data records_
'''
Compound: TbPr5Sm2Tm
Source: Alexandria
Functional: PBE-GGA
Structure: optimized geometry

a = 8.6332 Å, b = 8.6332 Å, c = 16.9877 Å
α = 90.00°, β = 90.00°, γ = 90.00°
Last column: nearest neighbours and their distance in Å.
Space group I4/mcm (No. 140)
Unique sites:
Tb1 0.0000 0.0000 0.2500 x4  8 Pr 3.58
Pr1 0.0000 0.0000 0.0000 x4  4 Sm 3.43
Pr2 0.2172 0.2828 0.1429 x16  1 Sm 3.12, 1 Tm 3.22
Sm1 0.1221 0.3779 0.5000 x8  1 Sm 2.98, 2 Pr 3.12
Tm1 0.0000 0.5000 0.2500 x4  4 Pr 3.22

Results
- DFT formation energy (eV/f.u.) = 2.58
- DOS(E_F) (states/eV per cell) = 56.25
- spin magnetization (μB/f.u.) = 0.0
- calculated volume (A^3/atom) = 35.2

=====

Compound: RbAl2MoPb
Source: Alexandria
Functional: PBE-GGA
Structure: optimized geometry

a = 5.6809 Å, b = 5.6809 Å, c = 5.6262 Å
α = 90.00°, β = 90.00°, γ = 90.00°
Last column: nearest neighbours and their distance in Å.
Space group P4/mmm (No. 123)
Unique sites:
Rb1 0.0000 0.0000 0.0000 x1  2 Mo 2.81, 4 Al 2.84
Al1 0.0000 0.5000 0.0000 x2  2 Rb 2.84
Mo1 0.0000 0.0000 0.5000 x1  2 Rb 2.81
Pb1 0.5000 0.5000 0.5000 x1  8 Al 4.00, 4 Mo 4.02

Results
- DFT formation energy (eV/f.u.) = 10.77
- DOS(E_F) (states/eV per cell) = 3.67
- spin magnetization (μB/f.u.) = 4.3
- calculated volume (A^3/atom) = 36.3

=====

Compound: Tb6Nd5Ho
Source: Alexandria
Functional: PBE-GGA
Structure: optimized geometry

a = 5.1061 Å, b = 10.1743 Å, c = 15.3281 Å
α = 90.00°, β = 90.00°, γ = 90.00°
Last column: nearest neighbours and their distance in Å.
Space group Immm (No. 71)
Unique sites:
Tb1 0.0000 0.2481 0.0000 x4  6 Nd 3.58-3.62, 2 Ho 3.59, 4 Tb 3.61
Tb2 0.0000 0.2511 0.3338 x8  1 Ho 3.59, 7 Nd 3.60-3.63, 4 Tb 3.61-3.62
Nd1 0.0000 0.0000 0.1654 x4  8 Tb 3.58-3.63, 2 Ho 3.60, 2 Nd 3.63
Nd2 0.0000 0.0000 0.5000 x2  8 Tb 3.61-3.62, 4 Nd 3.61
Nd3 0.0000 0.5000 0.1666 x4  8 Tb 3.60-3.62, 4 Nd 3.61-3.63
Ho1 0.0000 0.5000 0.5000 x2  8 Tb 3.59, 4 Nd 3.60

Results
- ΔE to the lowest computed polymorph (meV per atom) = 5
- DFT formation energy (eV/f.u.) = 0.21
- DOS(E_F) (states/eV per cell) = 34.27
- spin magnetization (μB/f.u.) = 0.0
- calculated volume (A^3/atom) = 33.2

=====

Compound: Ti2AlIr
Source: Alexandria
Functional: PBE-GGA
Structure: optimized geometry

a = 3.2780 Å, b = 3.2780 Å, c = 5.7981 Å
α = 90.00°, β = 90.00°, γ = 90.00°
Last column: nearest neighbours and their distance in Å.
Space group P4/mmm (No. 123)
Unique sites:
Ti1 0.0000 0.0000 0.2419 x2  4 Ir 2.71, 4 Al 2.76, 2 Ti 2.81-2.99
Al1 0.5000 0.5000 0.5000 x1  8 Ti 2.76, 2 Ir 2.90
Ir1 0.5000 0.5000 0.0000 x1  8 Ti 2.71, 2 Al 2.90

Results
- DFT formation energy (eV/f.u.) = -2.29
- DOS(E_F) (states/eV per cell) = 4.23
- spin magnetization (μB/f.u.) = 0.0
- calculated volume (A^3/atom) = 15.6

=====

Compound: Pr2TmTiO6
Source: Alexandria
Functional: PBE-GGA
Structure: optimized geometry

a = 5.6809 Å, b = 5.9303 Å, c = 9.8041 Å
α = 90.00°, β = 124.25°, γ = 90.00°
Last column: nearest neighbours and their distance in Å.
Space group P2_1/c (No. 14)
'''

The best way for men to continue having XXXBios sex for longer is to be able to imitate sex and use strategies to continue ejaculation. Masturbation is the best method. However, most men ejaculate very quickly because they masturbated to avoid getting caught in adolescence and as a result, they programmed their ejaculation system to work faster. The time to re-program the system is approaching, so I’m going to share with you the 5 best masturbation tips used by porn stars…

1. Masturbate with lubricant or do it in the shower

The best way to imitate a woman’s vagina is to use a lubricant. If you finish your work with foreplay, she should be well lubricated when you sting her. So, by using lubrication when XXXBios masturbating you are performing in a similar environment. When masturbating, you can masturbate in the shower as the hot water flowing over the head of the penis mimics the warmth and moisture of the vagina.

2. Spend your time

Keep in mind that most men who masturbate during puberty are programmed to ejaculate as soon as they reach puberty. You need to allocate a lot of time to avoid rushing. I recommend at XXXBios least 15-20 minutes so that you can allow the stimulus level to increase and decrease before you return. Do not rush stroking. Take slow strokes.

3. Do not look at or view pornographic images before masturbating

By doing so, you increase your arousal level before you start and end the game before you start masturbating. Use your nation to move things forward, and then slowly shift the focus toward proper breathing.

4. Breathe properly

Deep breathing is important. Try to inhale him through the nose and mouth. By holding your breath for a break before you breathe in, you will get more oxygen into the blood and it will travel to the PC muscles longer.

5. Relax the PC muscle

The PC muscle (perinea muscle) controls your ejaculation. This is the same muscle that stops your urination in the middle. By focusing on relaxing as much as possible, you will stay longer. There are  XXXBios  techniques where you twist it, but when you start, try to relax it.

Take advantage of these masturbation tips and you will find out how to prolong sex for men. Use them every day and you will act like a porn star before you know it. Special bonus tip! Discover how your permanent time is turbo charging & add 10-20 minutes tonight! Finally, put an end to your humiliation and unrest!

Jane Doe
As a certified relationship expert with over a decade of experience, Jane shares her insights on everything dating-related. Her candid approach to the highs, lows, and everything in-between makes her blog a trusted source for dating advice.